Find "best structure" and "9.180 90.00" in the rows underneath, and duplicate these two lines and those between, please.

/*
Material: Y6SnAs2S3
Method: DFT, PBE-GGA
State: relaxed

DOS(E_F)   4.32 states/eV/cell
Space group   C2/m (12)

Cell: 4.070 8.173 9.119 Å, 102.57 102.89 90.00°
Fractional positions:
1 Y 0.000 0.735 0.001
2 Y 0.668 0.583 0.336
3 Y 0.332 0.417 0.664
4 Y 0.672 0.086 0.343
5 Y 0.000 0.265 0.999
6 Y 0.328 0.914 0.657
7 Sn 0.500 0.000 0.000
8 As 0.833 0.666 0.666
9 As 0.167 0.334 0.334
10 S 0.167 0.831 0.334
11 S 0.833 0.169 0.666
12 S 0.500 0.500 0.000

Material: Y6SnAs3S2
Method: DFT, PBE-GGA
State: relaxed

DOS(E_F)   2.64 states/eV/cell
Space group   C2/m (12)

Cell: 4.085 8.291 9.187 Å, 102.75 102.85 90.00°
Fractional positions:
1 Y 0.328 0.914 0.657
2 Y 0.667 0.585 0.334
3 Y 0.998 0.736 0.996
4 Y 0.002 0.264 0.004
5 Y 0.333 0.415 0.666
6 Y 0.672 0.086 0.343
7 As 0.834 0.169 0.668
8 As 0.166 0.831 0.332
9 As 0.500 0.500 0.000
10 Sn 0.500 0.000 0.000
11 S 0.830 0.660 0.660
12 S 0.170 0.340 0.340

Material: Sr3AsS
Method: DFT, PBE-GGA
State: relaxed

Distance to the lowest polymorph of the same formula   0 meV/atom
DOS(E_F)   4.22 states/eV/cell
Space group   Pm-3m (221)

Cell: 5.608 5.608 5.608 Å, 90.00 90.00 90.00°
Fractional positions:
1 S 0.000 0.000 0.000
2 Sr 0.500 0.000 0.000
3 Sr 0.000 0.500 0.000
4 Sr 0.000 0.000 0.500
5 As 0.500 0.500 0.500

Number 1: uncorrected formation energy -19.53 eV/f.u., final energy -7.0003 eV/atom. Number 2: uncorrected formation energy -18.70 eV/f.u., final energy -6.9744 eV/atom. Number 3: uncorrected formation energy -4.87 eV/f.u., final energy -3.7380 eV/atom.


DFT (GGA-PBE) results for crystalline NiRuAu at its relaxed geometry.

## Properties
Crystal system: tetragonal
Energy relative to the elements, eV/atom: 0.24
Density of states at the Fermi level, states/eV/atom: 1.3370
Excess energy over the best structure of this formula in the dataset, meV/atom: 115
SG: I4mm (107)

Cell lengths 6.0883, 6.0886, 2.7298 Å; angles 77.04, 77.05, 25.91 degrees
Closest atoms and distances in Å follow each position.
Sites, in units of the cell vectors:
Au  0.0052  0.0052  0.9948  4 Au 2.73, 4 Ni 2.76-2.77, 4 Ru 2.90
Ni  0.6766  0.6766  0.3234  4 Ru 2.53, 4 Ni 2.73, 4 Au 2.76-2.77
Ru  0.3182  0.3182  0.6818  4 Ni 2.53, 4 Ru 2.73


First-principles (PBE) data for a geometry-optimized CdBiTeO2 structure, as listed in the Alexandria database.

Results
E_form (uncorrected) = -0.20 eV per atom
crystal system = tetragonal
SG = P4/mmm (123)

Lattice parameters (Å, degrees): 4.201 4.201 9.180 90.00 90.00 90.00
Element x y z (fractional)
1 Cd 0.000 0.000 0.000
2 Bi 0.000 0.000 0.500
3 Te 0.500 0.500 0.000
4 O 0.000 0.500 0.500
5 O 0.500 0.000 0.500

***

First-principles (PBE) data for a geometry-optimized CdBiTeO6 structure, as listed in the Alexandria database.

Results
E_form (uncorrected) = -0.97 eV per atom
crystal system = trigonal
SG = P-31c (163)

Lattice parameters (Å, degrees): 5.595 5.595 9.595 90.00 90.00 120.00
Element x y z (fractional)
1 Cd 0.000 0.000 0.000
2 Cd 0.000 0.000 0.500
3 Bi 0.333 0.667 0.250
4 Bi 0.667 0.333 0.750
5 Te 0.333 0.667 0.750
6 Te 0.667 0.333 0.250
7 O 0.038 0.380 0.634
8 O 0.038 0.658 0.866
9 O 0.342 0.380 0.866
10 O 0.342 0.962 0.634
11 O 0.380 0.038 0.134
12 O 0.380 0.342 0.366
13 O 0.620 0.658 0.634
14 O 0.620 0.962 0.866
15 O 0.658 0.038 0.366
16 O 0.658 0.620 0.134
17 O 0.962 0.342 0.134
18 O 0.962 0.620 0.366

***

First-principles (PBE) data for a geometry-optimized CdBi2TeO8 structure, as listed in the Alexandria database.

Results
E_form (uncorrected) = -0.99 eV per atom
crystal system = orthorhombic
SG = Cmmm (65)

Lattice parameters (Å, degrees): 5.012 5.012 6.974 90.00 90.00 90.07
Element x y z (fractional)
1 Cd 0.000 0.000 0.000
2 Bi 0.500 0.500 0.250
3 Bi 0.500 0.500 0.750
4 Te 0.000 0.000 0.500
5 O 0.183 0.817 0.289
6 O 0.183 0.817 0.711
7 O 0.282 0.282 0.500
8 O 0.313 0.313 0.000
9 O 0.687 0.687 0.000
10 O 0.718 0.718 0.500
11 O 0.817 0.183 0.289
12 O 0.817 0.183 0.711

***
*/

Excess energy over the best structure of this formula in the dataset, meV/atom: 115
SG: I4mm (107)

Cell lengths 6.0883, 6.0886, 2.7298 Å; angles 77.04, 77.05, 25.91 degrees
Closest atoms and distances in Å follow each position.
Sites, in units of the cell vectors:
Au  0.0052  0.0052  0.9948  4 Au 2.73, 4 Ni 2.76-2.77, 4 Ru 2.90
Ni  0.6766  0.6766  0.3234  4 Ru 2.53, 4 Ni 2.73, 4 Au 2.76-2.77
Ru  0.3182  0.3182  0.6818  4 Ni 2.53, 4 Ru 2.73


First-principles (PBE) data for a geometry-optimized CdBiTeO2 structure, as listed in the Alexandria database.

Results
E_form (uncorrected) = -0.20 eV per atom
crystal system = tetragonal
SG = P4/mmm (123)

Lattice parameters (Å, degrees): 4.201 4.201 9.180 90.00 90.00 90.00